Exciting and timely news for hockey fans with Jatkoaika
Jatkoaika.com has been the leading hockey site in Finland since its launch in 2001. Early 2012 Jatkoaika decided it’s time to renew the site, to serve the new needs of their users and partners. After collecting new requirements for several years, Jatkoaika staff decided to move forward with the site renewal by changing into a CMS and introducing a new look. That’s when we hopped on board.
Mobile app & site renewal
Popular hockey site focuses on performance
SEO and performance requirements are an important factor for Jatkoaika to ensure user friendliness and potential growth of the user base.
Finland’s most popular hockey site has happy users
Records of molecules, kept here for reference:
- - -
This record from the Open Molecules 2025 dataset describes 2 unconnected molecules or ions with the total composition C18H38F6NOP in a non-equilibrium geometry. The level of theory is ωB97M-V with the def2-TZVPD basis set.

Last column: Löwdin charge in e.
Element x y z (Å)
P 2.2211 4.7175 -2.3872  0.3387
F 0.9717 4.1644 -1.4028  -0.2329
F 2.3589 5.9415 -1.3194  -0.1751
F 2.2139 3.9546 -3.8523  -0.1907
F 3.7623 5.1215 -2.7390  -0.1734
F 2.8768 3.2858 -1.8242  -0.2238
F 1.0675 5.6254 -3.1121  -0.1859
O 2.5234 1.0287 -3.4325  -0.0883
N 0.3074 0.9992 -1.8269  0.1180
C -1.8705 2.1565 2.6692  -0.2379
C -2.1909 1.6192 1.2637  -0.2127
C 2.0760 -3.5070 1.1620  -0.1878
C 0.5656 -3.7878 1.0196  -0.2017
C 2.6115 -2.6078 0.0345  -0.1843
C 0.1148 1.3141 -3.2887  -0.0619
C 1.3610 -0.0738 -1.5734  -0.2335
C -0.2622 -3.3953 2.2465  -0.2110
C 1.3956 -0.3378 -0.0769  -0.1468
C -3.6254 1.0792 1.0725  -0.1983
C 2.6141 0.5811 -2.0915  -0.1510
C -1.7350 -3.1807 1.9000  -0.2073
C -0.9431 1.2617 3.5081  -0.0987
C -3.7445 -0.2101 0.2564  -0.2151
C -1.9667 -1.8436 1.1940  -0.2356
C 2.6088 -1.1153 0.4376  -0.1713
C -3.4420 -1.5119 1.0041  -0.2059
C 1.3146 0.8342 -4.1019  -0.1899
H -3.8866 -2.3371 0.4375  0.1142
H 2.2437 -2.9829 2.1065  0.0986
H -1.4664 0.8418 0.9978  0.0619
H -3.9258 -1.5060 1.9869  0.1181
H 1.9742 -2.7467 -0.8448  0.1004
H -0.7966 0.8224 -3.6285  0.1316
H 3.5124 -0.0335 -2.0106  0.1430
H 0.4121 -4.8520 0.8276  0.1148
H 0.4993 -0.9071 0.1927  0.0943
H -4.1219 0.9343 2.0373  0.1100
H 1.3466 0.6278 0.4395  0.1316
H 0.1693 -3.2352 0.1628  0.0856
H -1.4748 -1.0597 1.7740  0.0833
H -2.0428 2.4331 0.5479  0.1056
H -1.4110 3.1417 2.5847  0.1020
H -0.2240 1.8561 4.0712  0.0693
H -2.3360 -3.2003 2.8136  0.1144
H -1.5109 -1.8983 0.1970  0.0996
H 2.5649 -1.0419 1.5264  0.1103
H 1.0622 -0.9737 -2.1137  0.1590
H -0.3675 0.5864 2.8694  0.0442
H -4.1988 1.8527 0.5567  0.1079
H 1.1802 -0.2048 -4.4313  0.1248
H 0.6524 1.8488 -1.3534  0.1558
H 3.6273 -2.8971 -0.2350  0.1085
H -0.5771 0.7317 -1.3966  0.1585
H 2.7551 1.4515 -1.4582  0.1129
H 1.3547 1.4516 -4.9982  0.1374
H 3.5463 -0.6384 0.1475  0.1089
H -0.1855 -4.1901 2.9928  0.1136
H -3.1361 -0.1300 -0.6558  0.1025
H -0.0307 2.3891 -3.3802  0.1292
H -2.8063 2.3118 3.2114  0.1009
H -2.0942 -3.9866 1.2505  0.1199
H 2.6283 -4.4465 1.1889  0.1072
H -4.7812 -0.2821 -0.0821  0.1064
H 0.1603 -2.4953 2.7078  0.1067
H -1.5001 0.6514 4.2207  0.0712

Net charge ... 0
HOMO-LUMO gap ... 10.2130 eV
Molecular weight ... 429.5 g mol⁻¹
E ... -48417.459 eV



This record from the Open Molecules 2025 dataset describes a molecular structure, C18H38N4ReSb2 in a non-equilibrium geometry. The level of theory is ωB97M-V with the def2-TZVPD basis set.

Last column: Löwdin charge in e.
Element x y z (Å)
Re 0.0169 0.0049 -0.0213  0.8005
Sb 0.0053 2.5758 -0.5560  1.3256
Sb 1.7890 -0.3612 -2.1014  1.3365
N -1.5921 -0.4190 -1.4513  -0.0994
N -0.5871 -2.0294 0.5574  -0.2786
N 1.6356 -0.5716 1.3446  -0.0929
N -1.4060 0.3467 1.6712  -0.0830
- - -
In the selection of the new platform we focused on performance, SEO friendliness, admin features and cost-effectiveness of further development of the site. Analysis resulted in choosing Drupal. Custom modules were used to meet the requirements that existing modules couldn’t meet. Jatkoaika.com site structure is based on relations which means a common hierarchy based structure could not be used as in most of other Drupal sites.
The re-launch of jatkoaika.com was a success. The main goals of the project were met and for example the SEO and performance requirements even exceeded. With over 200 000 unique visitors per week the most popular hockey site of Finland is easy to find, fast and reliable.
Continuous development – new features making users even happier
Further development was in the back of our heads already when renewing the site in 2012 and that’s what we’ve been up to since then, offering something new for hockey fans every season. Improvements have been made and new features have been added constantly to serve users and partners better.

Calculated molecules that have nothing to do with the page.
┌──
{
  "formula": "C36H60N2O4",
  "method": "the ωB97M-V functional and the def2-TZVPD basis",
  "elements": ["C", "C", "C", "C", "C", "C", "C", "C", "C", "O", "C", "C", "C", "C", "C", "C", "C", "C", "C", "O", "H", "H", "H", "H", "H", "H", "H", "H", "H", "H", "H", "H", "H", "H", "H", "H", "H", "H", "H", "H", "H", "H", "H", "H", "C", "C", "C", "C", "C", "C", "N", "O", "C", "C", "C", "H", "H", "H", "H", "H", "H", "H", "H", "H", "H", "H", "H", "H", "H", "H", "H", "H", "H", "C", "C", "C", "C", "C", "C", "N", "O", "C", "C", "C", "H", "H", "H", "H", "H", "H", "H", "H", "H", "H", "H", "H", "H", "H", "H", "H", "H", "H"],
  "positions_angstrom": [[6.19, -1.52, -0.44], [5.08, -0.85, -1.02], [3.93, 0.00, -1.81], [2.77, 0.65, -0.79], [1.92, 1.72, -1.70], [0.35, 1.89, -1.28], [-0.18, 2.37, 0.03], [0.84, 2.73, 1.26], [-1.82, 2.52, 0.21], [-2.31, 3.49, 1.01], [-2.78, 1.50, -0.63], [-2.26, 1.00, -1.96], [-3.23, -0.04, -2.78], [-2.55, -1.55, -2.59], [-2.74, -2.01, -0.99], [-2.03, -3.46, -0.68], [-0.51, -3.61, -1.32], [0.56, -2.57, -0.60], [-0.80, 1.56, -2.45], [-0.53, 1.78, -3.76], [6.96, -1.97, 0.34], [4.46, 0.93, -2.34], [3.37, -0.58, -2.66], [3.40, 1.25, 0.02], [2.13, -0.17, -0.25], [2.47, 2.77, -1.59], [1.97, 1.31, -2.82], [0.24, 3.45, 1.98], [1.06, 1.74, 1.87], [1.85, 3.20, 0.91], [-3.84, 1.15, -0.24], [-4.35, -0.03, -2.38], [-3.20, 0.32, -3.92], [-2.99, -2.34, -3.34], [-1.38, -1.37, -2.75], [-3.91, -2.01, -0.77], [-2.24, -1.21, -0.26], [-2.03, -3.63, 0.49], [-2.69, -4.31, -1.17], [-0.54, -3.48, -2.51], [-0.15, -4.69, -1.07], [1.28, -2.08, -1.42], [1.19, -3.13, 0.24], [-0.06, -1.72, -0.06], [6.20, -7.40, -1.72], [6.85, -6.52, -0.61], [7.57, -7.38, 0.48], [6.68, -7.98, 1.55], [5.74, -6.93, 2.13], [4.92, -6.22, 1.03], [5.79, -5.62, -0.05], [6.43, -4.50, 0.50], [3.91, -7.25, 0.45], [3.99, -5.15, 1.68], [8.00, -5.78, -1.38], [5.12, -7.43, -1.69], [6.42, -7.00, -2.72], [6.57, -8.43, -1.69], [8.31, -6.75, 0.99], [8.15, -8.18, 0.00], [6.12, -8.83, 1.15], [7.31, -8.38, 2.36], [5.07, -7.41, 2.86], [6.33, -6.20, 2.70], [3.31, -6.82, -0.36], [3.21, -7.59, 1.22], [4.39, -8.16, 0.07], [4.54, -4.39, 2.26], [3.29, -5.62, 2.39], [3.39, -4.63, 0.92], [7.60, -5.08, -2.13], [8.64, -6.50, -1.91], [8.66, -5.21, -0.71], [-7.65, 6.95, -0.27], [-7.35, 7.26, 1.23], [-6.73, 8.68, 1.42], [-5.23, 8.79, 1.16], [-4.47, 7.69, 1.89], [-5.01, 6.29, 1.54], [-6.50, 6.16, 1.78], [-6.69, 6.13, 3.18], [-4.65, 5.99, 0.05], [-4.20, 5.21, 2.32], [-8.78, 7.35, 1.86], [-6.98, 6.20, -0.70], [-8.64, 6.50, -0.39], [-7.61, 7.84, -0.89], [-6.90, 9.01, 2.46], [-7.25, 9.41, 0.79], [-5.03, 8.77, 0.09], [-4.88, 9.77, 1.52], [-3.40, 7.77, 1.63], [-4.52, 7.87, 2.97], [-5.03, 5.02, -0.27], [-3.56, 5.98, -0.09], [-5.02, 6.75, -0.64], [-4.24, 5.34, 3.41], [-3.13, 5.24, 2.05], [-4.56, 4.20, 2.08], [-9.29, 6.38, 1.85], [-9.41, 8.06, 1.29], [-8.77, 7.72, 2.90]],
└──
One of the latest new features on the site is the customizable newsletter called Kiekkovahti. After setting up their own newsletter on the site (jatkoaika.com/kiekkovahti) user receives news, articles, columns, reports, image collages etc. about teams and leagues of their interest via email. User can choose what type of content they receive, regarding which teams and leagues, and how often they receive the newsletter.
Next to the entry, the page also holds data records:
'''
Here is a molecular structure, C56H101F6HfN4O18S2 from OMol25. Energies are from wB97M-V/def2-TZVPD.

CARTESIAN COORDINATES (ANGSTROEM)
Hf 3.432390 3.345260 -4.400772
C 6.953827 6.099920 1.727218
C 7.615486 6.053663 0.326553
C 9.109601 6.689071 0.566727
C 10.083235 5.707171 1.201710
C 10.094823 4.371849 0.431440
C 8.711892 3.735891 0.279180
N 7.706443 4.684078 -0.286908
O 6.510896 4.151219 -0.885687
C 8.296739 3.093935 1.641507
C 8.949104 2.434855 -0.622457
C 6.855616 7.120573 -0.506433
H 6.429550 7.017893 1.992826
H 7.426934 5.847787 2.676264
H 6.074200 5.471745 1.586688
H 8.992848 7.561630 1.209476
H 9.568729 6.996471 -0.372849
H 9.832939 5.532060 2.248035
H 11.114301 6.059755 1.175450
H 10.772613 3.663100 0.907215
H 10.574922 4.580953 -0.524528
H 8.182583 3.824141 2.442675
H 9.025040 2.372582 2.012082
H 7.311896 2.627757 1.611793
H 8.266863 1.607061 -0.429097
H 9.868385 1.934198 -0.318539
H 8.901664 2.708353 -1.676524
H 6.911620 6.925258 -1.577326
H 7.297783 8.116661 -0.486115
H 5.791450 7.182043 -0.278699
C 2.365290 -0.101698 0.821694
C 0.923522 -0.489806 0.485683
C 0.197979 -0.415877 1.862503
C -1.318006 -0.552989 1.889906
C -1.941920 0.486501 0.907688
C -1.374962 0.381357 -0.539203
N 0.182098 0.473365 -0.389041
O 0.738637 0.782931 -1.683393
C -2.052928 1.612901 -1.237934
C -1.965535 -0.917685 -1.226588
C 0.923386 -1.928577 -0.096188
H 2.726950 -0.680858 1.671331
H 2.461135 0.983299 0.862971
H 3.048337 -0.491095 0.066767
H 0.508296 0.428410 2.478127
H 0.681089 -1.177049 2.475124
H -1.740246 -0.401465 2.883320
H -1.623388 -1.572946 1.656403
H -1.887260 1.536600 1.194748
H -3.007546 0.258035 0.925920
H -1.936890 2.539455 -0.675674
H -3.108590 1.375467 -1.369443
H -1.829082 1.712769 -2.300017
H -1.250418 -1.573267 -1.723503
H -2.727105 -0.681935 -1.969918
H -2.485999 -1.479715 -0.451121
H 0.228953 -2.632211 0.362911
H 1.813242 -2.519619 0.120414
H 0.791339 -1.949396 -1.177964
C -0.107169 4.324300 -9.177676
F 0.160400 5.540295 -8.733391
F -1.323790 4.355114 -9.754281
F 0.884523 3.952436 -10.060759
S -0.084711 3.006726 -7.637769
O 0.058175 3.749422 -6.382026
O -1.292829 2.156481 -7.641451
N 1.507095 2.292823 -7.477477
S 1.381954 1.175555 -8.643280
O 0.458355 1.491020 -9.742289
O 2.717569 0.791019 -9.097854
C 0.684946 -0.421625 -7.712690
F 1.600171 -0.886678 -6.920311
F -0.386404 -0.036840 -6.994729
F 0.384294 -1.287181 -8.609507
C -11.934425 -4.293203 3.901911
C -11.652726 -3.268843 2.962932
C -10.396025 -3.130819 2.314797
C -9.340378 -3.938594 2.705368
C -9.569110 -4.919441 3.673768
C -10.884751 -5.144702 4.222481
N -7.932661 -3.663682 2.212378
O -7.909050 -3.344858 1.001353
O -6.916940 -3.980248 2.928639
H -12.951340 -4.618160 4.065223
H -12.462604 -2.652943 2.600780
H -10.339039 -2.421574 1.502309
H -8.747953 -5.567456 3.942415
H -10.980754 -6.046292 4.809273
C 8.046072 -6.401824 0.329698
C 7.654391 -5.193637 1.142045
O 8.219609 -4.117956 1.045939
C 6.650394 -5.416548 2.235332
H 7.252077 -6.624777 -0.383010
H 8.092649 -7.193911 1.077047
'''
Our latest treat for hockey fans – easy access to timely content through Kiekkovahti mobile app
Jatkoaika also wanted to make a mobile application for the Kiekkovahti newsletter, provided that the newsletter on the website would be popular enough. And as it turned out, it was – suddenly we had hundreds of subscriptions! Feedback from users indicated clearly that a mobile app would be in demand. So, using React Native we created the Kiekkovahti (News watch) mobile application which is now available in Apple App Store and Google Play Store.
A good mobile app is a must today for all serious media. We have high hopes for the Kiekkovahti app, and we believe our readers will download it and love it. Working with Exove to create the application was a smooth process and we launched in time to start the new hockey season.
Matti Liljaniemi, CEO, Jatkoaika
With the Kiekkovahti mobile application users get real-time notifications on new content and now all content and functionality is in one place. Users can transform their existing Kiekkovahti newsletter into a mobile application newsletter and just like on the website, they can easily create additional newsletters in the mobile app too. If the user creates different kinds of accounts with different combinations of teams, leagues and content types, all this content is easily accessible in one application. Now reading the content and modifying your order(s) happens in one and the same place. In addition, now the app contains all past content in a more easily accessible way than emails.